Input:
........
1.
The following is a DFT calculation (PBEsol) of TcPdI3 after structural relaxation.

Cell and atoms, written as extended XYZ:
```
5
Lattice="5.3216 0.0000 0.0000 0.0000 5.3216 0.0000 0.0000 0.0000 5.3216" Properties=species:S:1:pos:R:3 pbc="T T T"
I 0.0000 2.6608 0.0000
I 2.6608 0.0000 0.0000
I 0.0000 0.0000 2.6608
Pd 2.6608 2.6608 2.6608
Tc 0.0000 0.0000 0.0000
```

Calculated values
- formation energy (no corrections) (eV per atom) = 0.835
- symmetry = Pm-3m, No. 221



2.
The following is a DFT calculation (PBEsol) of Te2Pd2I after structural relaxation.

Cell and atoms, written as extended XYZ:
```
5
Lattice="-0.4317 1.2215 -3.7527 -0.9811 -3.6898 -1.0882 -6.8262 2.8284 3.8058" Properties=species:S:1:pos:R:3 pbc="T T T"
Te -2.7738 -0.7966 -2.0402
Te -5.4651 1.1567 1.0051
Pd -4.2568 -1.0477 0.1486
Pd -3.9821 1.4079 -1.1836
I 0.0000 0.0000 0.0000
```

Calculated values
- formation energy (no corrections) (eV per atom) = -0.212
- symmetry = I4/mmm, No. 139



3.
The following is a DFT calculation (PBEsol) of Te2PdWI after structural relaxation.

Cell and atoms, written as extended XYZ:
```
5
Lattice="-0.6557 0.1854 5.0887 -1.9937 -4.7305 -0.0846 5.0988 -2.1621 0.7357" Properties=species:S:1:pos:R:3 pbc="T T T"
W 0.0000 0.0000 0.0000
Te -0.9968 -2.3653 -0.0423
Te -0.3278 0.0927 2.5444
Pd 1.2247 -3.3536 2.8700
I 2.5494 -1.0810 0.3679
```

Calculated values
- formation energy (no corrections) (eV per atom) = 0.976
- symmetry = P4/mmm, No. 123



4.
The following is a DFT calculation (PBEsol) of YTe2PdI after structural relaxation.

Cell and atoms, written as extended XYZ:
```
5
Lattice="-0.4440 -1.8200 4.8409 4.2783 -3.0155 -0.7414 3.0722 3.9266 1.7580" Properties=species:S:1:pos:R:3 pbc="T T T"
Te 2.1392 -1.5078 -0.3707
Te 1.5361 1.9633 0.8790
Pd 0.0000 0.0000 0.0000
Y 3.4533 -0.4545 2.9287
I -0.2220 -0.9100 2.4204
```

Calculated values
- formation energy (no corrections) (eV per atom) = -0.319
- symmetry = P4/mmm, No. 123
........

Brief:
It remains to repeat only the lines above with the word "XYZ" in them.

Worked solution:
Cell and atoms, written as extended XYZ:
Cell and atoms, written as extended XYZ:
Cell and atoms, written as extended XYZ:
Cell and atoms, written as extended XYZ: